Filter the block below: keep the lines with the word "Br".
........
DFT (ωB97M-V/def2-TZVPD) results for a cluster of 3 separate species, C21H39BrO10P2 in total at a distorted geometry.

Positions of all 73 atoms, in Å:
C 3.945 7.669 0.090
C 4.792 7.538 -1.263
C 5.923 6.372 -1.194
Br 7.060 6.619 -2.805
C 5.310 4.915 -1.028
C 4.902 4.523 0.279
C 4.242 3.069 0.457
O 4.409 2.391 1.496
C 3.332 2.566 -0.740
C 3.735 2.963 -2.045
C 5.063 3.860 -2.183
O 5.806 3.638 -3.154
H 4.610 7.505 0.998
H 3.338 8.633 0.159
H 3.178 6.808 0.077
H 5.327 8.530 -1.431
H 4.099 7.236 -2.116
H 6.606 6.571 -0.289
H 5.017 5.236 1.155
H 2.395 1.921 -0.597
H 3.159 2.701 -2.982
O -0.788 0.100 4.257
P -1.343 1.068 3.208
O -1.971 -0.131 2.230
C -2.728 -1.205 2.777
C -4.193 -0.843 2.943
O 0.076 1.299 2.387
C 1.326 1.212 3.064
C 1.941 -0.159 2.858
O -1.984 2.225 2.129
C -3.235 2.158 1.476
C -4.334 2.758 2.328
H -2.322 -1.548 3.730
H -2.643 -2.041 2.078
H -4.310 0.001 3.627
H -4.758 -1.689 3.340
H -4.640 -0.560 1.987
H 1.215 1.448 4.125
H 1.985 1.972 2.636
H 1.257 -0.959 3.144
H 2.860 -0.262 3.438
H 2.177 -0.315 1.801
H -3.481 1.154 1.139
H -3.138 2.754 0.563
H -4.387 2.274 3.306
H -5.302 2.666 1.828
H -4.138 3.818 2.508
O -1.759 -4.112 -0.194
P -2.316 -4.369 -1.598
O -1.079 -5.376 -2.089
C -0.606 -6.421 -1.245
C -1.432 -7.686 -1.385
O -1.764 -2.971 -2.291
C -1.589 -1.798 -1.506
C -0.135 -1.650 -1.097
O -3.097 -4.622 -3.094
C -3.173 -5.843 -3.802
C -4.367 -6.663 -3.360
H -0.570 -6.116 -0.198
H 0.424 -6.630 -1.548
H -2.472 -7.505 -1.103
H -1.035 -8.480 -0.748
H -1.427 -8.048 -2.416
H -2.251 -1.804 -0.637
H -1.880 -0.943 -2.123
H 0.241 -2.543 -0.597
H -0.007 -0.796 -0.427
H 0.495 -1.499 -1.978
H -2.248 -6.412 -3.761
H -3.305 -5.579 -4.856
H -4.345 -6.847 -2.283
H -4.393 -7.620 -3.888
H -5.296 -6.127 -3.571

Structure (SMILES): CC[C@H](Br)C1=CC(=O)C=CC1=O.CCOP(=O)(OCC)OCC.CCOP(=O)(OCC)OCC
Energy above the lowest of the compared OMol25 structures with the same formula, charge and spin (kcal/mol): 88.3
Gap between HOMO and LUMO (eV): 8.4
Net charge: 0
LUMO (Ha): -0.04903


DFT (ωB97M-V/def2-TZVPD) results for a structure of composition C21H39ClF4ILiN3O10S3 at a distorted geometry.

Positions of all 83 atoms, in Å:
N -0.350 2.252 4.222
C -0.264 2.185 2.785
O 0.686 3.058 2.151
C 1.793 3.427 2.958
S 1.549 5.047 3.848
C -0.143 0.671 2.270
I -0.238 0.584 0.116
C 1.333 0.196 2.649
C 1.596 -1.324 2.342
C 1.516 -2.263 3.585
F 2.794 -2.768 3.785
F 0.686 -3.317 3.255
F 1.029 -1.692 4.713
O -1.026 -0.164 3.022
C -2.204 -0.540 2.395
C -3.226 0.622 2.027
S -4.168 1.374 3.398
O -5.013 2.385 2.767
O -3.356 2.013 4.404
S -3.080 -1.621 3.681
O -4.469 -1.907 3.314
O -2.360 -2.865 3.643
F -2.893 -1.056 5.180
H -0.534 3.187 4.569
H 0.411 1.786 4.704
H -1.268 2.524 2.410
H 2.638 3.632 2.248
H 2.171 2.627 3.635
H 1.592 4.652 5.167
H 2.016 0.791 1.989
H 1.606 0.441 3.700
H 2.628 -1.403 1.917
H 0.919 -1.752 1.563
H -2.083 -1.260 1.537
H -2.773 1.435 1.394
H -3.996 0.142 1.357
H -5.022 0.496 4.029
O -7.144 -2.632 4.659
H -7.286 -3.533 5.017
H -6.193 -2.478 4.429
H -7.481 -1.945 5.273
Cl 2.601 -4.941 3.507
Li 0.388 -6.252 3.388
C -2.999 4.004 -2.895
C -2.309 3.661 -1.809
C -2.935 3.675 -0.469
O -2.304 3.363 0.526
C -4.355 4.081 -0.378
C -5.046 4.424 -1.463
C -4.422 4.411 -2.807
O -5.049 4.720 -3.795
H -2.558 4.001 -3.885
H -1.270 3.361 -1.855
H -4.793 4.083 0.613
H -6.085 4.724 -1.416
C 2.784 -1.804 -1.913
C 2.678 -0.362 -2.396
C 1.626 -0.177 -3.490
C 1.898 -0.951 -4.781
C 3.237 -0.639 -5.448
C 3.352 0.817 -5.888
H 3.085 -2.476 -2.718
H 3.531 -1.885 -1.120
H 1.825 -2.149 -1.512
H 3.656 -0.017 -2.739
H 2.413 0.274 -1.545
H 1.538 0.891 -3.717
H 0.647 -0.483 -3.100
H 1.089 -0.743 -5.491
H 1.847 -2.027 -4.583
H 3.349 -1.281 -6.326
H 4.064 -0.890 -4.785
H 2.565 1.072 -6.604
H 4.314 0.990 -6.375
H 3.285 1.505 -5.044
C 4.748 -4.240 -4.857
O 4.756 -3.051 -4.580
N 4.142 -5.174 -4.068
N 5.344 -4.735 -5.977
H 4.125 -6.154 -4.277
H 3.692 -4.846 -3.232
H 5.801 -4.077 -6.582
H 5.350 -5.707 -6.223

Gap between HOMO and LUMO (eV): 4.1
Net charge: +1
LUMO (Ha): -0.18430
........
Br 7.060 6.619 -2.805
Structure (SMILES): CC[C@H](Br)C1=CC(=O)C=CC1=O.CCOP(=O)(OCC)OCC.CCOP(=O)(OCC)OCC